File.
/*
1.
Formula: C7H14I2NO
Source: the Open Molecules 2025 dataset
Level of theory: ωB97M-V/def2-TZVPD

```
25
Properties=species:S:1:pos:R:3:forces:R:3
C -1.5175 0.8443 -2.8966 0.7 0.1 0.1
C -0.5725 -0.3992 -2.3232 -0.2 0.5 0.4
I -1.2171 -2.2335 -3.4199 0.3 1.2 0.0
C -0.8200 -0.6992 -0.7114 -1.5 1.3 -0.3
I -0.1945 -2.7305 -0.2200 0.0 0.9 0.7
C -0.2478 0.4848 0.2801 0.5 1.6 -3.3
C 1.3317 0.8621 0.0733 -0.5 0.2 0.5
O 2.1494 -0.2704 0.5172 -1.4 1.2 0.9
C 1.9771 -0.5947 1.9324 1.1 -0.8 0.7
C 0.4862 -0.4410 2.5536 1.1 -1.5 3.1
N -0.5366 0.2926 1.7443 -1.4 0.5 0.2
H -0.8221 1.5924 -3.4866 -1.5 -1.4 1.3
H -2.3391 0.4679 -3.6411 1.6 0.7 1.7
H -2.0199 1.3889 -1.9879 0.9 -0.9 -1.8
H 0.5643 -0.2530 -2.5557 -2.3 -0.4 0.5
H -2.0071 -0.6716 -0.5770 2.5 -0.3 -0.2
H -0.8529 1.4645 -0.0440 1.2 -2.1 0.7
H 1.5520 1.8602 0.6892 -0.3 -2.1 -1.2
H 1.5584 1.0791 -1.0628 -0.5 -0.6 2.5
H 2.2877 -1.7404 2.0554 -0.8 2.6 -0.5
H 2.7454 0.0108 2.6096 -1.7 -1.0 -1.6
H 0.0479 -1.5047 2.8736 1.0 2.4 -1.1
H 0.5986 0.1497 3.5851 -0.3 -1.2 -2.3
H -1.4699 -0.2073 1.8286 1.3 0.6 -0.1
H -0.6819 1.2482 2.1836 0.2 -1.4 -0.8
```
Positions in Å, forces in eV/Å.

## Properties
- E_LUMO (eV) = -3.61
- max |F| (eV/Å) = 3.71
- HOMO energy (Eh) = -0.42867
- charge = +1
- 2S+1 = 1
- E_tot (eV) = -27214.5707

***

2.
Formula: C7H15NS2
Source: the Open Molecules 2025 dataset
Level of theory: ωB97M-V/def2-TZVPD

```
25
Properties=species:S:1:pos:R:3:forces:R:3
C -2.8343 -1.3690 -0.7060 -1.3 -0.8 -0.6
C -3.5894 0.9013 -0.3673 1.1 0.8 0.5
C -1.7078 0.0096 0.8856 -0.3 0.9 1.3
C -0.6673 0.5502 -0.0511 0.4 0.8 -1.4
C 0.6623 0.9239 0.6100 0.5 0.5 0.8
C 1.7041 1.5980 -0.3173 0.3 0.5 1.0
C 2.3207 0.6475 -1.3188 0.6 -0.7 -0.8
H -2.2276 -1.1469 -1.6215 -0.7 0.1 0.4
H -3.8876 -1.7742 -0.9555 1.8 0.6 0.0
H -2.2910 -2.1473 -0.2072 0.2 -0.8 0.2
H -4.5559 0.5947 -0.8152 0.7 0.4 0.1
H -3.7606 1.6309 0.4782 -0.1 -0.7 -0.9
H -2.8717 1.4957 -1.1225 -1.8 -1.5 1.1
H -1.3417 -0.8983 1.3351 0.2 -0.4 0.5
H -1.8871 0.7820 1.7155 0.1 -1.1 -1.0
H -0.4639 -0.1744 -0.8836 -0.1 0.6 0.7
H -1.1433 1.4637 -0.5284 1.1 -0.8 0.4
H 0.5205 1.5372 1.5349 -0.2 -0.1 -0.8
H 2.5711 1.9731 0.2917 -1.2 0.1 -0.3
H 1.1815 2.3849 -0.8547 0.3 0.5 0.0
H 3.4263 0.8599 -1.4786 -1.5 -0.3 0.1
H 1.7671 0.7711 -2.2911 0.7 -0.8 0.8
N -2.9750 -0.3124 0.2591 -0.5 1.8 -1.1
S 2.1462 -1.1063 -0.6162 0.1 0.9 -0.1
S 1.6324 -0.4396 1.3148 -0.1 -0.7 -0.8
```
Positions in Å, forces in eV/Å.

## Properties
- E_LUMO (eV) = 0.61
- max |F| (eV/Å) = 2.62
- HOMO energy (Eh) = -0.30075
- charge = 0
- 2S+1 = 1
- E_tot (eV) = -30661.9514
- SMILES = CN(C)CC[C@@H]1CCSS1

***

3.
Formula: C16H6AgCl5I
Source: the Open Molecules 2025 dataset
Level of theory: ωB97M-V/def2-TZVPD

```
29
Properties=species:S:1:pos:R:3:forces:R:3
Ag -0.3359 -0.0029 0.2637 -0.4 0.0 0.4
I 2.5407 -0.0062 0.1955 0.1 0.0 0.0
C 2.5531 -0.0012 2.3155 0.0 0.0 -0.2
C 3.7926 -0.0037 2.8848 -0.1 0.0 0.2
C 3.9029 -0.0018 4.2950 0.0 0.0 -0.1
C 2.7772 0.0022 5.0621 0.0 0.0 0.0
C 1.4860 0.0047 4.4726 0.0 0.0 -0.1
C 0.3271 0.0085 5.2840 0.0 0.0 0.0
C -0.9091 0.0117 4.7062 0.0 0.0 -0.1
C -1.0412 0.0113 3.2959 0.0 0.0 0.2
C 0.0374 0.0072 2.4399 0.3 0.0 -0.3
C 1.3302 0.0035 3.0501 0.1 0.0 0.1
H 4.6840 -0.0073 2.2727 0.0 0.0 0.0
H 4.8845 -0.0036 4.7540 0.0 0.0 0.0
H 2.8518 0.0034 6.1453 0.0 0.0 0.0
H 0.4435 0.0089 6.3630 0.0 0.0 0.0
H -1.7988 0.0142 5.3282 0.0 0.0 0.0
H -2.0466 0.0146 2.8822 0.0 0.0 0.0
Cl -2.2347 2.6894 -0.5932 0.0 0.0 0.0
C -3.0962 1.1621 -0.5371 -0.1 0.0 -0.1
C -2.3528 -0.0085 -0.5582 0.2 0.0 0.1
C -3.0988 -1.1769 -0.5160 -0.1 0.0 -0.1
Cl -2.2412 -2.7071 -0.5454 0.0 0.1 0.0
C -4.4911 -1.2060 -0.4507 0.1 -0.1 0.0
Cl -5.3621 -2.7029 -0.3963 0.0 0.0 0.0
C -5.1930 -0.0040 -0.4297 0.0 0.0 0.0
Cl -6.9222 -0.0016 -0.3800 0.0 0.0 0.0
C -4.4883 1.1958 -0.4730 0.1 0.1 0.0
Cl -5.3557 2.6957 -0.4471 0.0 0.0 0.0
```
Positions in Å, forces in eV/Å.

## Properties
- E_LUMO (eV) = 2.49
- max |F| (eV/Å) = 0.53
- HOMO energy (Eh) = -0.15703
- charge = -1
- 2S+1 = 1
- E_tot (eV) = -91402.4719

***
*/

Work order.
Could you give back only the lines above with the word "max" in them?

Worked solution.
- max |F| (eV/Å) = 3.71
- max |F| (eV/Å) = 2.62
- max |F| (eV/Å) = 0.53